Last year I saw on multiple social media outlets the idea to place hearts on your child’s door from February 1st to Valentine’s Day. On each heart was written a note or phrase of encouragement and affirmation.
Unfortunately I learned about it too late. This year I want to make sure that I am ready. And I want to invite you to join me!

Uniqueness and Spiritual Gifts
If you have more than one child, you know that every child is unique. God created each one with special gifts and a personality all their own.
For you created my inmost being;
Psalm 139:14-15 NIV
you knit me together in my mother’s womb.
I praise you because I am fearfully and wonderfully made;
your works are wonderful,
I know that full well.
An important parenting task is helping children see their uniqueness and discover the spiritual gifts God has given them.
Here are some examples in our home. Peanut has the gift of exhortation. He would encourage a rock to roll over if he felt it important. Sweet Pea has the gift of administration. At a young age, she organized her imaginary students for school time. As I see them display their unique gifts I encourage my children to further use their giftings.
Spiritual Truth
A second parenting responsibility is to fill our children’s minds with spiritual truths. Impressing into them God’s character and who they are in Christ.
For example, Bubs can come to God no matter what he has done and know he is forgiven. In Christ, Little Man has strength because “the Lord gives strength to his people” (Psalm 29:11a).
(Crystal structures that have nothing to do with the page)
'''
Diffraction record for La3Co2Sn4. The X-ray powder pattern is simulated, not measured: it uses a cell relaxed with PBE and Cu Ka.
Lines closer than 0.1° are merged.

Structure:
a = 11.7093 Å, b = 4.5747 Å, c = 8.7581 Å
α = 90.00°, β = 104.12°, γ = 90.00°
Space group C2/m (No. 12)
One atom of each set of equivalent atoms:
1 La 0.0000 0.0000 0.0000 x2
2 La 0.1228 0.5000 0.6864 x4
3 Co 0.2017 0.5000 0.3906 x4
4 Sn 0.1017 0.0000 0.3936 x4
5 Sn 0.2086 0.5000 0.0904 x4

Top 10 peaks for 10 to 90 degrees two-theta, most intense first:
(3 1 -1), d 2.933, intensity 100
(1 1 2), d 2.874, intensity 93
(3 1 0), d 2.916, intensity 72
(0 2 0), d 2.287, intensity 59
(3 1 -3), d 2.254, intensity 49
(2 0 -3), d 2.824, intensity 43
(0 0 3), d 2.832, intensity 31
(4 0 1), d 2.514, intensity 26
(7 1 -2), d 1.557, intensity 24
(2 2 -3), d 1.777, intensity 22


(1)
Starting from DFT lattice parameters and positions (GGA-PBE), the powder diffraction line list of Ba4Ti3O10 was simulated for Cu Kα (λ = 1.5418 Å).
Lines closer than 0.1° are merged.

Crystal structure
```
data_Ba4Ti3O10
_chemical_formula_sum 'Ba8 Ti6 O20'
_cell_length_a 4.0644
_cell_length_b 4.0644
_cell_length_c 29.5654
_cell_angle_alpha 90.00
_cell_angle_beta 90.00
_cell_angle_gamma 90.12
_space_group_name_H-M_alt 'P 1'
_space_group_IT_number 1
loop_
_space_group_symop_operation_xyz
'x,y,z'
loop_
_atom_site_label
_atom_site_type_symbol
_atom_site_fract_x
_atom_site_fract_y
_atom_site_fract_z
_atom_site_occupancy
Ba1 Ba 0.0032 0.9968 0.9328 1
Ba2 Ba 0.0052 0.9948 0.7986 1
Ba3 Ba 0.4948 0.5052 0.2986 1
Ba4 Ba 0.4968 0.5032 0.4328 1
Ba5 Ba 0.5032 0.4968 0.5672 1
Ba6 Ba 0.5052 0.4948 0.7014 1
Ba7 Ba 0.9948 0.0052 0.2014 1
Ba8 Ba 0.9968 0.0032 0.0672 1
Ti1 Ti 0.0000 0.0000 0.5000 1
Ti2 Ti 0.0204 0.9796 0.6374 1
Ti3 Ti 0.4796 0.5204 0.1374 1
Ti4 Ti 0.5000 0.5000 0.0000 1
Ti5 Ti 0.5204 0.4796 0.8626 1
Ti6 Ti 0.9796 0.0204 0.3626 1
O1 O 0.0000 0.5000 0.0000 1
O2 O 0.0000 0.5000 0.5000 1
O3 O 0.0025 0.9975 0.4322 1
O4 O 0.0041 0.4873 0.3631 1
O5 O 0.0047 0.9953 0.2963 1
O6 O 0.0127 0.4959 0.1369 1
O7 O 0.4873 0.0041 0.6369 1
O8 O 0.4953 0.5047 0.7963 1
O9 O 0.4959 0.0127 0.8631 1
O10 O 0.4975 0.5025 0.9322 1
O11 O 0.5000 0.0000 0.0000 1
O12 O 0.5000 0.0000 0.5000 1
O13 O 0.5025 0.4975 0.0678 1
O14 O 0.5041 0.9873 0.1369 1
O15 O 0.5047 0.4953 0.2037 1
O16 O 0.5127 0.9959 0.3631 1
O17 O 0.9873 0.5041 0.8631 1
O18 O 0.9953 0.0047 0.7037 1
O19 O 0.9959 0.5127 0.6369 1
O20 O 0.9975 0.0025 0.5678 1
```

Top 12 peaks for 5 to 70 degrees two-theta, in order of rising 2θ:
| 2theta | d_spacing | I/Imax |
| --- | --- | --- |
| 22.08 | 4.026 | 19 |
| 24.08 | 3.696 | 13 |
| 30.52 | 2.929 | 100 |
| 31.12 | 2.874 | 62 |
| 39.73 | 2.269 | 35 |
| 42.82 | 2.112 | 12 |
| 44.59 | 2.032 | 37 |
| 51.31 | 1.781 | 7 |
| 51.53 | 1.773 | 8 |
| 53.87 | 1.702 | 13 |
| 55.00 | 1.670 | 37 |
| 63.54 | 1.464 | 13 |

***

(2)
'''

Valentine Affirmation Heart Activity
Prior to Valentine’s Day, I invite you to join me in placing hearts on our child’s doors to affirm their uniqueness and gifts, and to share spiritual truths. What a surprise it will be to discover the first heart!
Unsure what to write on each heart? Grab the Valentine Affirmation printable for example hearts to print. The PDF also includes blank hearts to write your own affirmations.
Tips: It will mean the most to your child if the heart is written in your handwriting. Think about unique attributes your child brings to your family. Don’t forget to take a photo on Valentine’s Day so that your child can remember those attributes unique to her as well. And most importantly, don’t include attributes that don’t apply to your child. Children know who they are and seeing attributes being used to describe them that don’t fit will cause confusion and could make them doubt the truth of the ones that they do exhibit.
Get Your Free Valentine’s Day Printable
Unrelated to this entry: records of crystals:
/*
Entry 1:
Structure and computed powder X-ray diffraction pattern of Nb2Sb (the PBE geometry in the Materials Project; copper Kα).
Neutral-atom scattering factors, no anomalous dispersion.

Most intense lines, 2θ = 10–90°, by angle:
- 2θ 33.91, intensity 20, hkl 1 0 -3
- 2θ 34.39, intensity 33, hkl 1 0 4
- 2θ 35.17, intensity 100, hkl 0 1 8
- 2θ 35.58, intensity 100, hkl 0 2 -5
- 2θ 36.94, intensity 47, hkl 1 1 5
- 2θ 38.86, intensity 46, hkl -1 1 4
- 2θ 39.11, intensity 43, hkl 1 2 -1
- 2θ 40.09, intensity 78, hkl 0 3 3
- 2θ 43.96, intensity 16, hkl 1 -2 2
- 2θ 53.49, intensity 26, hkl 1 1 -9
- 2θ 60.23, intensity 14, hkl 0 1 -13
- 2θ 63.78, intensity 14, hkl 2 1 2

Structure:
a = 2.938 Å, b = 6.947 Å, c = 21.205 Å
α = 83.21°, β = 86.29°, γ = 83.54°
Element x y z (fractional)
Nb 0.000 0.000 0.000
Nb 0.018 0.197 0.479
Nb 0.058 0.274 0.716
Nb 0.171 0.513 0.201
Nb 0.209 0.575 0.431
Nb 0.287 0.768 0.903
Nb 0.395 0.884 0.147
Nb 0.442 0.046 0.622
Nb 0.480 0.136 0.859
Nb 0.593 0.353 0.336
Nb 0.635 0.421 0.574
Nb 0.654 0.253 0.085
Nb 0.784 0.738 0.289
Nb 0.863 0.904 0.764
Sb 0.018 0.675 0.654
Sb 0.065 0.625 0.066
Sb 0.165 0.984 0.368
Sb 0.438 0.530 0.797
Sb 0.590 0.825 0.511
Sb 0.760 0.144 0.221
Sb 0.809 0.394 0.945

Entry 2:
Structure and computed powder X-ray diffraction pattern of Nb2SiSb2 (the PBE geometry in the Materials Project; copper Kα).
Neutral-atom scattering factors, no anomalous dispersion.

Most intense lines, 2θ = 10–90°, by angle:
- 2θ 11.97, intensity 21, hkl 0 0 2
- 2θ 24.08, intensity 38, hkl 0 0 4
- 2θ 30.23, intensity 18, hkl 0 0 5
- 2θ 31.12, intensity 100, hkl 1 0 0
- 2θ 36.47, intensity 13, hkl 0 0 6
- 2θ 39.73, intensity 40, hkl 1 0 4
- 2θ 43.93, intensity 25, hkl 1 0 5
- 2θ 44.59, intensity 36, hkl 1 1 0
- 2θ 48.68, intensity 22, hkl 1 0 6
- 2θ 51.30, intensity 19, hkl 1 1 4
- 2θ 54.81, intensity 13, hkl 1 1 5
- 2θ 73.71, intensity 16, hkl 2 1 0

Structure:
a = 2.874 Å, b = 2.874 Å, c = 14.784 Å
α = 90.00°, β = 90.00°, γ = 90.00°
Element x y z (fractional)
Nb 0.000 0.000 0.170
Nb 0.000 0.000 0.830
Si 0.000 0.000 0.000
Sb 0.000 0.000 0.367
Sb 0.000 0.000 0.633
*/
Here the entry continues:
Go, right now, grab the Valentine Affirmation printable to prepare for February 1st!
Then head over to the ABCJesusLovesMe Facebook Page to receive daily ideas and encouragement as we spend the next group of days together affirming who are children are in Christ!
Next Week’s Blog Post: Discover a Fun Idea for Heart #14!